[To do]
The reader should give back everything underneath character by character.

[Entries]
~~~
(1)
The following is a PBE calculation of a relaxed YTlCd crystal, from Alexandria via LeMat-Bulk.

```
YTlCd
1.0
-1.7913 2.3588 4.7683
1.7913 -2.3588 4.7683
1.7913 2.3588 -4.7683
Y Tl Cd
1 1 1
direct
0.0000 0.0000 0.0000
0.3335 0.3335 0.0000
0.6613 0.6613 0.0000
```

## Properties
ΔE_f = -133 meV/atom
Space group = Imm2

(2)
The following is a PBE calculation of a relaxed YTlCd crystal, from Alexandria via LeMat-Bulk.

```
YTlCd
1.0
3.6868 0.0000 0.0000
-1.8434 3.1929 0.0000
0.0000 0.0000 7.1932
Y Tl Cd
1 1 1
direct
0.0000 0.0000 0.0000
0.3333 0.6667 0.6554
0.6667 0.3333 0.3360
```

## Properties
ΔE_f = -89 meV/atom
Space group = P3m1

(3)
The following is a PBE calculation of a relaxed Y4TlCd crystal, from Alexandria via LeMat-Bulk.

```
Y4TlCd
1.0
5.1629 0.0000 0.0000
0.0000 5.1629 0.0000
0.0000 0.0000 7.3654
Y Tl Cd
4 1 1
direct
0.0000 0.5000 0.2438
0.0000 0.5000 0.7562
0.5000 0.0000 0.2438
0.5000 0.0000 0.7562
0.0000 0.0000 0.5000
0.5000 0.5000 0.0000
```

## Properties
Energy above the most stable polymorph in this dataset = 0 meV/atom
ΔE_f = -10 meV/atom
Space group = P4/mmm

(4)
The following is a PBE calculation of a relaxed Y2Tl2Cd crystal, from Alexandria via LeMat-Bulk.

```
Y2Tl2Cd
1.0
8.6307 0.0000 0.0000
0.0000 8.6307 0.0000
0.0000 0.0000 3.9102
Y Tl Cd
4 4 2
direct
0.1691 0.3309 0.0000
0.3309 0.8309 0.0000
0.6691 0.1691 0.0000
0.8309 0.6691 0.0000
0.1340 0.6340 0.5000
0.3660 0.1340 0.5000
0.6340 0.8660 0.5000
0.8660 0.3660 0.5000
0.0000 0.0000 0.0000
0.5000 0.5000 0.0000
```

## Properties
Energy above the most stable polymorph in this dataset = 140 meV/atom
ΔE_f = -163 meV/atom
Space group = P4/mbm

(5)
The following is a PBE calculation of a relaxed YTl2Cd crystal, from Alexandria via LeMat-Bulk.

```
YTl2Cd
1.0
1.7700 1.0219 10.3003
-1.7700 1.0219 10.3003
0.0000 -2.0438 10.3003
Y Tl Cd
1 2 1
direct
0.0000 0.0000 0.0000
0.2471 0.2471 0.2471
0.7529 0.7529 0.7529
0.5000 0.5000 0.5000
```

## Properties
Energy above the most stable polymorph in this dataset = 221 meV/atom
ΔE_f = -36 meV/atom
Space group = R-3m

(6)
The following is a PBE calculation of a relaxed YTlCd crystal, from Alexandria via LeMat-Bulk.

```
YTlCd
1.0
5.1475 0.0000 0.0000
-2.5678 4.5154 0.0000
-0.0119 -0.0613 6.6346
Y Tl Cd
2 2 2
direct
0.0000 0.0000 0.0000
0.3331 0.6696 0.6201
0.0002 0.0039 0.4780
0.6668 0.3355 0.8147
0.3329 0.6650 0.1337
0.6667 0.3350 0.2975
```

## Properties
ΔE_f = -280 meV/atom
Space group = P1

(7)
The following is a PBE calculation of a relaxed YTlCd crystal, from Alexandria via LeMat-Bulk.

```
YTlCd
1.0
4.5485 0.0000 0.0000
0.0000 4.5485 0.0000
0.0000 0.0000 7.6352
Y Tl Cd
2 2 2
direct
0.2500 0.2500 0.1806
0.7500 0.7500 0.8194
0.2500 0.2500 0.7744
0.7500 0.7500 0.2256
0.2500 0.7500 0.5000
0.7500 0.2500 0.5000
```

## Properties
ΔE_f = -289 meV/atom
Space group = P4/nmm

(8)
The following is a PBE calculation of a relaxed Y3TlCd2 crystal, from Alexandria via LeMat-Bulk.

```
Y3TlCd2
1.0
3.7683 0.0000 0.0000
0.0000 3.7683 0.0000
0.0000 0.0000 11.2881
Y Tl Cd
3 1 2
direct
0.0000 0.0000 0.0000
0.0000 0.0000 0.3287
0.0000 0.0000 0.6713
0.5000 0.5000 0.5000
0.5000 0.5000 0.1613
0.5000 0.5000 0.8387
```

## Properties
Energy above the most stable polymorph in this dataset = 5 meV/atom
ΔE_f = -364 meV/atom
Space group = P4/mmm

(9)
The following is a PBE calculation of a relaxed YTl2Cd crystal, from Alexandria via LeMat-Bulk.

```
YTl2Cd
1.0
3.5021 0.0000 0.0000
0.0000 4.9230 0.0000
-0.7100 0.0000 6.2798
Y Tl Cd
1 2 1
direct
0.0000 0.0000 0.0000
0.3320 0.5000 0.7488
0.6680 0.5000 0.2512
0.5000 0.0000 0.5000
```

## Properties
Energy above the most stable polymorph in this dataset = 125 meV/atom
ΔE_f = -132 meV/atom
Space group = P2/m

(10)
The following is a PBE calculation of a relaxed Y4Tl2Cd3 crystal, from Alexandria via LeMat-Bulk.

```
Y4Tl2Cd3
1.0
4.4775 -2.5846 0.0000
4.4775 2.5846 0.0000
-0.0053 0.0000 10.4033
Y Tl Cd
4 2 3
direct
0.9997 0.9997 0.1696
0.0003 0.0003 0.8304
0.3331 0.3331 0.3831
0.6669 0.6669 0.6169
~~~

[Reply]
(1)
The following is a PBE calculation of a relaxed YTlCd crystal, from Alexandria via LeMat-Bulk.

```
YTlCd
1.0
-1.7913 2.3588 4.7683
1.7913 -2.3588 4.7683
1.7913 2.3588 -4.7683
Y Tl Cd
1 1 1
direct
0.0000 0.0000 0.0000
0.3335 0.3335 0.0000
0.6613 0.6613 0.0000
```

## Properties
ΔE_f = -133 meV/atom
Space group = Imm2

(2)
The following is a PBE calculation of a relaxed YTlCd crystal, from Alexandria via LeMat-Bulk.

```
YTlCd
1.0
3.6868 0.0000 0.0000
-1.8434 3.1929 0.0000
0.0000 0.0000 7.1932
Y Tl Cd
1 1 1
direct
0.0000 0.0000 0.0000
0.3333 0.6667 0.6554
0.6667 0.3333 0.3360
```

## Properties
ΔE_f = -89 meV/atom
Space group = P3m1

(3)
The following is a PBE calculation of a relaxed Y4TlCd crystal, from Alexandria via LeMat-Bulk.

```
Y4TlCd
1.0
5.1629 0.0000 0.0000
0.0000 5.1629 0.0000
0.0000 0.0000 7.3654
Y Tl Cd
4 1 1
direct
0.0000 0.5000 0.2438
0.0000 0.5000 0.7562
0.5000 0.0000 0.2438
0.5000 0.0000 0.7562
0.0000 0.0000 0.5000
0.5000 0.5000 0.0000
```

## Properties
Energy above the most stable polymorph in this dataset = 0 meV/atom
ΔE_f = -10 meV/atom
Space group = P4/mmm

(4)
The following is a PBE calculation of a relaxed Y2Tl2Cd crystal, from Alexandria via LeMat-Bulk.

```
Y2Tl2Cd
1.0
8.6307 0.0000 0.0000
0.0000 8.6307 0.0000
0.0000 0.0000 3.9102
Y Tl Cd
4 4 2
direct
0.1691 0.3309 0.0000
0.3309 0.8309 0.0000
0.6691 0.1691 0.0000
0.8309 0.6691 0.0000
0.1340 0.6340 0.5000
0.3660 0.1340 0.5000
0.6340 0.8660 0.5000
0.8660 0.3660 0.5000
0.0000 0.0000 0.0000
0.5000 0.5000 0.0000
```

## Properties
Energy above the most stable polymorph in this dataset = 140 meV/atom
ΔE_f = -163 meV/atom
Space group = P4/mbm

(5)
The following is a PBE calculation of a relaxed YTl2Cd crystal, from Alexandria via LeMat-Bulk.

```
YTl2Cd
1.0
1.7700 1.0219 10.3003
-1.7700 1.0219 10.3003
0.0000 -2.0438 10.3003
Y Tl Cd
1 2 1
direct
0.0000 0.0000 0.0000
0.2471 0.2471 0.2471
0.7529 0.7529 0.7529
0.5000 0.5000 0.5000
```

## Properties
Energy above the most stable polymorph in this dataset = 221 meV/atom
ΔE_f = -36 meV/atom
Space group = R-3m

(6)
The following is a PBE calculation of a relaxed YTlCd crystal, from Alexandria via LeMat-Bulk.

```
YTlCd
1.0
5.1475 0.0000 0.0000
-2.5678 4.5154 0.0000
-0.0119 -0.0613 6.6346
Y Tl Cd
2 2 2
direct
0.0000 0.0000 0.0000
0.3331 0.6696 0.6201
0.0002 0.0039 0.4780
0.6668 0.3355 0.8147
0.3329 0.6650 0.1337
0.6667 0.3350 0.2975
```

## Properties
ΔE_f = -280 meV/atom
Space group = P1

(7)
The following is a PBE calculation of a relaxed YTlCd crystal, from Alexandria via LeMat-Bulk.

```
YTlCd
1.0
4.5485 0.0000 0.0000
0.0000 4.5485 0.0000
0.0000 0.0000 7.6352
Y Tl Cd
2 2 2
direct
0.2500 0.2500 0.1806
0.7500 0.7500 0.8194
0.2500 0.2500 0.7744
0.7500 0.7500 0.2256
0.2500 0.7500 0.5000
0.7500 0.2500 0.5000
```

## Properties
ΔE_f = -289 meV/atom
Space group = P4/nmm

(8)
The following is a PBE calculation of a relaxed Y3TlCd2 crystal, from Alexandria via LeMat-Bulk.

```
Y3TlCd2
1.0
3.7683 0.0000 0.0000
0.0000 3.7683 0.0000
0.0000 0.0000 11.2881
Y Tl Cd
3 1 2
direct
0.0000 0.0000 0.0000
0.0000 0.0000 0.3287
0.0000 0.0000 0.6713
0.5000 0.5000 0.5000
0.5000 0.5000 0.1613
0.5000 0.5000 0.8387
```

## Properties
Energy above the most stable polymorph in this dataset = 5 meV/atom
ΔE_f = -364 meV/atom
Space group = P4/mmm

(9)
The following is a PBE calculation of a relaxed YTl2Cd crystal, from Alexandria via LeMat-Bulk.

```
YTl2Cd
1.0
3.5021 0.0000 0.0000
0.0000 4.9230 0.0000
-0.7100 0.0000 6.2798
Y Tl Cd
1 2 1
direct
0.0000 0.0000 0.0000
0.3320 0.5000 0.7488
0.6680 0.5000 0.2512
0.5000 0.0000 0.5000
```

## Properties
Energy above the most stable polymorph in this dataset = 125 meV/atom
ΔE_f = -132 meV/atom
Space group = P2/m

(10)
The following is a PBE calculation of a relaxed Y4Tl2Cd3 crystal, from Alexandria via LeMat-Bulk.

```
Y4Tl2Cd3
1.0
4.4775 -2.5846 0.0000
4.4775 2.5846 0.0000
-0.0053 0.0000 10.4033
Y Tl Cd
4 2 3
direct
0.9997 0.9997 0.1696
0.0003 0.0003 0.8304
0.3331 0.3331 0.3831
0.6669 0.6669 0.6169